Agenda item

Doncaster Education Attainment Summary 2016.


The Panel received a report providing information about the 2016 educational outcomes of children and young people aged 5, 7, 11 and 16.

[Records of crystals from another source follow]
=====
No. 1
! NaMgH3 (r2SCAN, optimized geometry); values from VASP
! Space group   No. 62
! Energy relative to the elements   -0.300 eV/atom
! Final energy   -3.92 eV per atom
&SYSTEM
  ibrav = 0, nat = 20, ntyp = 3
/
ATOMIC_SPECIES
H 1.01 H.upf
Mg 24.30 Mg.upf
Na 22.99 Na.upf
ATOMIC_POSITIONS angstrom
H 4.8724 2.5762 1.9026
H 4.1969 1.1537 4.1451
H 3.7804 3.8678 7.2702
Mg 0.0000 2.7141 0.0000
Na 2.6062 2.8921 1.9026
H 0.4459 2.8520 5.7077
H 3.7804 3.8678 4.1451
Na 0.0530 0.1780 1.9026
H 1.5378 1.5604 0.3400
H 1.1213 4.2745 3.4651
Mg 2.6591 0.0000 3.8051
Na 2.7121 2.5361 5.7077
H 3.1050 5.2903 1.9026
Na 5.2653 5.2502 5.7077
H 1.5378 1.5604 3.4651
Mg 2.6591 0.0000 0.0000
H 4.1969 1.1537 7.2702
Mg 0.0000 2.7141 3.8051
H 1.1213 4.2745 0.3400
H 2.2132 0.1379 5.7077
CELL_PARAMETERS angstrom
5.3183 0.0000 0.0000
0.0000 5.4282 0.0000
0.0000 0.0000 7.6102

No. 2
! NaMg3P3H2O12 (r2SCAN, optimized geometry); values from VASP
! Space group   No. 15
! Energy relative to the elements   -2.552 eV/atom
! Final energy   -8.35 eV per atom
&SYSTEM
  ibrav = 0, nat = 42, ntyp = 5
/
ATOMIC_SPECIES
O 16.00 O.upf
Na 22.99 Na.upf
Mg 24.30 Mg.upf
H 1.01 H.upf
P 30.97 P.upf
ATOMIC_POSITIONS angstrom
O -4.9850 3.1113 -1.2924
O -5.7672 -3.1113 -0.4561
Na -5.3791 5.5369 -2.4954
O -4.2121 1.3152 -2.9157
O -3.8647 1.0942 0.6725
Mg -8.4813 -1.9496 1.3098
Na -5.3730 -5.5369 0.7469
H -6.6288 0.0659 0.9303
O -9.0817 -0.0168 1.3865
Mg -8.4874 1.9496 -1.9325
Mg -5.3730 2.6711 0.7469
O -2.3167 -2.1458 -4.2240
P -2.3403 -1.3340 -2.9424
O -6.5400 -1.3152 1.1672
H -4.1233 -0.0659 -2.6787
Mg -2.2647 -1.9496 0.1841
P -8.4180 -1.3340 -2.0484
P -5.3791 2.2217 -2.4954
H -4.1171 0.0659 0.5635
O -7.0452 3.9273 0.5826
O -2.3106 2.1458 -0.9817
O -6.8813 1.0942 0.8214
O -3.8708 -1.0942 -2.5698
O -3.7008 3.9273 0.9112
Mg -5.3791 -2.6711 -2.4954
O -5.7733 3.1113 -3.6984
O -6.5462 1.3152 -2.0751
O -1.6643 -0.0168 0.1074
H -6.6350 -0.0659 -2.3120
O -3.7070 -3.9273 -2.3311
P -8.4118 1.3340 1.1939
O -7.0513 -3.9273 -2.6597
O -4.2060 -1.3152 0.3266
O -4.9788 -3.1113 1.9499
O -8.4354 2.1458 2.4755
O -9.0878 0.0168 -1.8558
Mg -2.2708 1.9496 -3.0582
O -6.8874 -1.0942 -2.4209
O -1.6704 0.0168 -3.1349
P -5.3730 -2.2217 0.7469
P -2.3341 1.3340 0.2999
O -8.4416 -2.1458 -0.7667
CELL_PARAMETERS angstrom
-0.0123 0.0000 -6.4846
-5.3699 -6.0059 2.3681
-5.3699 6.0059 2.3681

No. 3
! Na3MgP2HO8 (r2SCAN, optimized geometry); values from VASP
! Space group   No. 2
! Energy relative to the elements   -2.462 eV/atom
! Final energy   -8.07 eV per atom
&SYSTEM
  ibrav = 0, nat = 15, ntyp = 5
/
ATOMIC_SPECIES
O 16.00 O.upf
P 30.97 P.upf
Na 22.99 Na.upf
H 1.01 H.upf
Mg 24.30 Mg.upf
ATOMIC_POSITIONS angstrom
O -0.6492 -3.7781 -2.8915
O -3.2793 -2.4564 -0.7739
O 0.5500 -5.3212 -1.3306
P -2.2812 -2.4959 0.3915
O -1.7992 -5.8618 -2.0804
O -0.9301 -1.9158 -0.0241
O -2.8406 -1.7654 1.6028
Na 1.1195 -3.1818 -0.3070
P -0.4480 -5.2817 -2.4961
O -2.0800 -3.9995 0.7869
O 0.1113 -6.0122 -3.7073
H 0.3870 -3.1797 -2.7956
=====


Members were informed that during the last couple of years, work had been undertaken with a national consortium and exam results were now received on the day with the information later being sent to schools with further provisional analysis being undertaken. It was clarified that there were stronger links to DFE, other authorities and improved systems. 


It was recognised that there was a popular belief that the Council was unable to make comment or provide appropriate challenge with academies.  Members were told how duties sat with the Regional Schools Commissioner who had a duty to identify coasting schools.  The Panel was told how the Director of Learning and Opportunities had met with the Commissioner with a challenge that they would undertake their role, as the Council would undertake theirs.  It was added that Heads and Chairs of Academies had been alerted where they were falling short compared to maintained schools.  Members were informed that there was the intention to rebroker or approve failing schools or those not meeting required standards.  Members were reminded that the Council has a statutory responsibility for the outcomes of all children. 


It was questioned whether a separate session was needed to consider the information on a separate occasion.  It was clarified that the information would be brought back to the Panel once validated and that care needs to be taken so that overview and scrutiny does not duplicate the role of governing body and teachers.  Members were informed that a Member workshop could be delivered about scrutinising education results.  The Panel was informed that an information pack had been developed providing guidance on how to challenge Headteachers.


It was commented that historically the relationship between the Council and schools had varied and changed over two parliaments and that the Council still retains a school improvement function which may change.  It was commented that it was appropriate for overview and scrutiny to hold the Council to account in how that was being done.  Members were informed that there would be an Ofsted HMI visit over the summer with the purpose of the review to inspect post Ofsted action plan which was signed off.


2016 results have reaffirmed the need to place additional focus on reading through the Key stage 2 Raising Achievement Initiative.


Action: Subject to Members interest that a workshop around KS2 be arranged around changes in methodology


It was commented that KS4 figures expressed disappointment, that 3% achieving 5+ A* to C Including English and Mathematics equates to one child.  It was commented that it would be helpful to have a deeper diver to look at what sits beneath that.  It was added that 50% which formed the greater majority achieved D and below.

Action: For the Panel to receive more detail at a future meeting.


There was a brief discussion about governance arrangements around the importance of Looked after Children and it was stated that the appropriate route for any issues would be the Children in Care council and the Corporate Parenting Board.  Further to that it was added that if there were any further issues yielded then overview and scrutiny could be involved.  It was questioned what was the Councils role in respect of the Virtual School.


Action: To circulate the Virtual School Annual Report


RESOLVED: That the panel notes;


·                Challenges that are in place to the DfE, Governing Bodies and School

·                Leaders to improve performance at all levels, including proposals for the growth of Multi-Academy Trusts

·                The transformational nature of school improvement support and services within Doncaster, across the region and nationally

·                That year one of the Key stage 2 Raising Achievement Initiative placed focus on writing and GPS as subjects identified as weak in 2015.

·                2016 results have reaffirmed the need to place additional focus on reading through the Key stage 2 Raising Achievement Initiative.

·                Changes to the curriculum and assessment system.

·                That in line with the white paper ‘Educational Excellence Everywhere’ the next phase of current strategies and initiatives looks to build on educational performance by building character and resilience in every child.


Supporting documents: